Input:
VASP calculation (GGA-PBE) on an optimized crystal structure of Cs2U3IrO12.

The calculated volume is 333.07 Å³/f.u. Its uncorrected energy is -8.325 eV/atom.

The structure belongs to space group R-3m (No. 166, hexagonal axes); the cell edges are 7.9372, 7.9372 and 18.3142 Å and the angles 90.00°, 90.00° and 120.00°. The inequivalent atoms are Cs at (0.0000, 0.0000, 0.1277), U at (0.0000, 0.5000, 0.0000), Ir at (0.0000, 0.0000, 0.5000), O at (0.0797, 0.5399, 0.3602) and O at (0.0961, 0.5480, 0.1047).

----------

Record 1
Entry from Alexandria via LeMat-Bulk: Sm3Er4Tl after structural relaxation (PBE).

abc: 4.113 4.113 14.520
angles: 90.00 90.00 90.00
Space group P4/mmm (No. 123)
Asymmetric unit:
Sm 0.000 0.000 0.000 (multiplicity 1)
Sm 0.000 0.000 0.252 (multiplicity 2)
Er 0.500 0.500 0.132 (multiplicity 2)
Er 0.500 0.500 0.388 (multiplicity 2)
Tl 0.000 0.000 0.500 (multiplicity 1)

Record 2
Entry from Alexandria via LeMat-Bulk: SmEr2Tl after structural relaxation (PBE).

abc: 4.669 4.805 11.136
angles: 90.00 102.01 90.00
Space group P2_1/m (No. 11)
Asymmetric unit:
Sm 0.192 0.250 0.385 (multiplicity 2)
Er 0.057 0.750 0.113 (multiplicity 2)
Er 0.436 0.750 0.871 (multiplicity 2)
Tl 0.339 0.250 0.674 (multiplicity 2)

Record 3
Entry from Alexandria via LeMat-Bulk: SmEr2Tl after structural relaxation (PBE).

abc: 4.876 4.876 4.820
angles: 90.00 90.00 90.00
Space group P4/mmm (No. 123)
Asymmetric unit:
Sm 0.000 0.000 0.000 (multiplicity 1)
Er 0.000 0.500 0.500 (multiplicity 2)
Tl 0.500 0.500 0.000 (multiplicity 1)

Record 4
Entry from Alexandria via LeMat-Bulk: SmEr2Tl4 after structural relaxation (PBE).

abc: 7.584 7.584 7.328
angles: 90.00 90.00 90.00
Space group I4/mmm (No. 139)
Asymmetric unit:
Sm 0.000 0.000 0.000 (multiplicity 2)
Er 0.000 0.500 0.000 (multiplicity 4)
Tl 0.250 0.250 0.250 (multiplicity 8)

Number 1: final energy -4.32 eV per atom, E above lowest polymorph 0.100 eV per atom, ΔH_f (0 K) 23.0 meV/atom. Number 2: final energy -4.21 eV per atom, E above lowest polymorph 0.021 eV per atom, ΔH_f (0 K) -155.3 meV/atom. Number 3: final energy -4.23 eV per atom, E above lowest polymorph 0.000 eV per atom, ΔH_f (0 K) -176.4 meV/atom. Number 4: final energy -3.54 eV per atom, E above lowest polymorph 0.000 eV per atom, ΔH_f (0 K) -213.2 meV/atom.

----------

(1)
The following is a DFT calculation (GGA-PBE) of a geometry-optimized LaRuClO4 structure.

Output
The calculation puts the total energy at -6.869 eV per atom. The space group is C2/m, No. 12. Its density of states at the Fermi level is 0.83 states/eV per cell.

```
LaRuClO4
1.0
-4.173 -4.765 1.576
1.182 -5.245 -3.702
3.926 -4.035 4.349
La Ru Cl O
2 2 2 8
direct
0.221 0.221 0.887
0.779 0.779 0.113
0.636 0.636 0.725
0.364 0.364 0.275
0.014 0.014 0.235
0.986 0.986 0.765
0.284 0.284 0.524
0.716 0.716 0.476
0.131 0.483 0.139
0.533 0.533 0.232
0.517 0.869 0.861
0.483 0.131 0.139
0.467 0.467 0.768
0.869 0.517 0.861
```


(2)
The following is a DFT calculation (GGA-PBE) of a geometry-optimized La4RuCl2O structure.

Output
The calculation puts the total energy at -6.269 eV per atom. The space group is P2/m, No. 10. Its density of states at the Fermi level is 6.22 states/eV per cell.

```
La4RuCl2O
1.0
-3.208 2.195 -0.422
-3.877 -5.566 0.517
0.980 2.830 7.278
La Ru Cl O
4 1 2 1
direct
0.500 0.216 0.196
0.500 0.784 0.804
0.000 0.242 0.796
0.000 0.758 0.204
0.500 0.500 0.000
0.500 0.000 0.500
0.000 0.500 0.500
0.000 0.000 0.000
```


(3)
The following is a DFT calculation (GGA-PBE) of a geometry-optimized La4S4Cl2O structure.

Output
The calculation puts the total energy at -6.559 eV per atom. The space group is Cmc2_1, No. 36. Its density of states at the Fermi level is 0.00 states/eV per cell.

```
La4S4Cl2O
1.0
-4.051 -3.863 7.571
9.093 2.442 0.090
-1.745 6.413 2.339
La S Cl O
8 8 4 2
direct
0.681 0.319 0.787
0.319 0.681 0.287
0.806 0.194 0.238
0.392 0.191 0.257
0.809 0.608 0.257
0.194 0.806 0.738
0.608 0.809 0.757
0.191 0.392 0.757
0.540 0.460 0.535
0.946 0.468 0.521

To do:
Retype the material further above from the first line to the one with "0.608 0.809" without altering anything, please.

Completed:
VASP calculation (GGA-PBE) on an optimized crystal structure of Cs2U3IrO12.

The calculated volume is 333.07 Å³/f.u. Its uncorrected energy is -8.325 eV/atom.

The structure belongs to space group R-3m (No. 166, hexagonal axes); the cell edges are 7.9372, 7.9372 and 18.3142 Å and the angles 90.00°, 90.00° and 120.00°. The inequivalent atoms are Cs at (0.0000, 0.0000, 0.1277), U at (0.0000, 0.5000, 0.0000), Ir at (0.0000, 0.0000, 0.5000), O at (0.0797, 0.5399, 0.3602) and O at (0.0961, 0.5480, 0.1047).

----------

Record 1
Entry from Alexandria via LeMat-Bulk: Sm3Er4Tl after structural relaxation (PBE).

abc: 4.113 4.113 14.520
angles: 90.00 90.00 90.00
Space group P4/mmm (No. 123)
Asymmetric unit:
Sm 0.000 0.000 0.000 (multiplicity 1)
Sm 0.000 0.000 0.252 (multiplicity 2)
Er 0.500 0.500 0.132 (multiplicity 2)
Er 0.500 0.500 0.388 (multiplicity 2)
Tl 0.000 0.000 0.500 (multiplicity 1)

Record 2
Entry from Alexandria via LeMat-Bulk: SmEr2Tl after structural relaxation (PBE).

abc: 4.669 4.805 11.136
angles: 90.00 102.01 90.00
Space group P2_1/m (No. 11)
Asymmetric unit:
Sm 0.192 0.250 0.385 (multiplicity 2)
Er 0.057 0.750 0.113 (multiplicity 2)
Er 0.436 0.750 0.871 (multiplicity 2)
Tl 0.339 0.250 0.674 (multiplicity 2)

Record 3
Entry from Alexandria via LeMat-Bulk: SmEr2Tl after structural relaxation (PBE).

abc: 4.876 4.876 4.820
angles: 90.00 90.00 90.00
Space group P4/mmm (No. 123)
Asymmetric unit:
Sm 0.000 0.000 0.000 (multiplicity 1)
Er 0.000 0.500 0.500 (multiplicity 2)
Tl 0.500 0.500 0.000 (multiplicity 1)

Record 4
Entry from Alexandria via LeMat-Bulk: SmEr2Tl4 after structural relaxation (PBE).

abc: 7.584 7.584 7.328
angles: 90.00 90.00 90.00
Space group I4/mmm (No. 139)
Asymmetric unit:
Sm 0.000 0.000 0.000 (multiplicity 2)
Er 0.000 0.500 0.000 (multiplicity 4)
Tl 0.250 0.250 0.250 (multiplicity 8)

Number 1: final energy -4.32 eV per atom, E above lowest polymorph 0.100 eV per atom, ΔH_f (0 K) 23.0 meV/atom. Number 2: final energy -4.21 eV per atom, E above lowest polymorph 0.021 eV per atom, ΔH_f (0 K) -155.3 meV/atom. Number 3: final energy -4.23 eV per atom, E above lowest polymorph 0.000 eV per atom, ΔH_f (0 K) -176.4 meV/atom. Number 4: final energy -3.54 eV per atom, E above lowest polymorph 0.000 eV per atom, ΔH_f (0 K) -213.2 meV/atom.

----------

(1)
The following is a DFT calculation (GGA-PBE) of a geometry-optimized LaRuClO4 structure.

Output
The calculation puts the total energy at -6.869 eV per atom. The space group is C2/m, No. 12. Its density of states at the Fermi level is 0.83 states/eV per cell.

```
LaRuClO4
1.0
-4.173 -4.765 1.576
1.182 -5.245 -3.702
3.926 -4.035 4.349
La Ru Cl O
2 2 2 8
direct
0.221 0.221 0.887
0.779 0.779 0.113
0.636 0.636 0.725
0.364 0.364 0.275
0.014 0.014 0.235
0.986 0.986 0.765
0.284 0.284 0.524
0.716 0.716 0.476
0.131 0.483 0.139
0.533 0.533 0.232
0.517 0.869 0.861
0.483 0.131 0.139
0.467 0.467 0.768
0.869 0.517 0.861
```


(2)
The following is a DFT calculation (GGA-PBE) of a geometry-optimized La4RuCl2O structure.

Output
The calculation puts the total energy at -6.269 eV per atom. The space group is P2/m, No. 10. Its density of states at the Fermi level is 6.22 states/eV per cell.

```
La4RuCl2O
1.0
-3.208 2.195 -0.422
-3.877 -5.566 0.517
0.980 2.830 7.278
La Ru Cl O
4 1 2 1
direct
0.500 0.216 0.196
0.500 0.784 0.804
0.000 0.242 0.796
0.000 0.758 0.204
0.500 0.500 0.000
0.500 0.000 0.500
0.000 0.500 0.500
0.000 0.000 0.000
```


(3)
The following is a DFT calculation (GGA-PBE) of a geometry-optimized La4S4Cl2O structure.

Output
The calculation puts the total energy at -6.559 eV per atom. The space group is Cmc2_1, No. 36. Its density of states at the Fermi level is 0.00 states/eV per cell.

```
La4S4Cl2O
1.0
-4.051 -3.863 7.571
9.093 2.442 0.090
-1.745 6.413 2.339
La S Cl O
8 8 4 2
direct
0.681 0.319 0.787
0.319 0.681 0.287
0.806 0.194 0.238
0.392 0.191 0.257
0.809 0.608 0.257
0.194 0.806 0.738
0.608 0.809 0.757